Source code for cereeberus.reeb.embeddedgraph

import networkx as nx
import numpy as np
import matplotlib.pyplot as plt
from cereeberus import ReebGraph

(Next to the text, the page also holds records of crystals)
********
Calculated powder XRD pattern of TaAs2C for Cu Kα (λ = 1.5418 Å), from the GGA-PBE geometry in OQMD.
Neutral-atom scattering factors, no anomalous dispersion.

Principal peaks in the range 10° ≤ 2θ ≤ 90°, in order of rising 2θ:
- d 6.868, 12.9 deg, rel. 38
- d 2.682, 33.4 deg, rel. 23
- d 2.314, 38.9 deg, rel. 100
- d 2.289, 39.4 deg, rel. 18
- d 1.919, 47.4 deg, rel. 16
- d 1.741, 52.6 deg, rel. 14
- d 1.548, 59.7 deg, rel. 21
- d 1.327, 71.1 deg, rel. 13
- d 1.287, 73.6 deg, rel. 15
- d 1.283, 73.9 deg, rel. 17

Structure:
Cell: 3.096 3.096 13.737 Å, 90.00 90.00 120.00°
Fractional positions:
Ta  0.333  0.667  0.250
Ta  0.667  0.333  0.750
As  0.333  0.667  0.598
As  0.333  0.667  0.902
As  0.667  0.333  0.098
As  0.667  0.333  0.402
C  0.000  0.000  0.000
C  0.000  0.000  0.500



Calculated powder XRD pattern of TlAsW4C2 for Cu Kα (λ = 1.5418 Å), from the GGA-PBE geometry in OQMD.
Neutral-atom scattering factors, no anomalous dispersion.

Principal peaks in the range 10° ≤ 2θ ≤ 90°, in order of rising 2θ:
- d 2.785, 32.1 deg, rel. 28
- d 2.599, 34.5 deg, rel. 7
- d 2.560, 35.1 deg, rel. 10
- d 2.343, 38.4 deg, rel. 100
- d 2.166, 41.7 deg, rel. 13
- d 1.710, 53.6 deg, rel. 11
- d 1.608, 57.3 deg, rel. 24
- d 1.403, 66.7 deg, rel. 9
- d 1.326, 71.1 deg, rel. 17
- d 1.291, 73.3 deg, rel. 15

Structure:
Cell: 3.216 3.216 12.995 Å, 90.00 90.00 120.00°
Fractional positions:
Tl  0.000  0.000  0.000
As  0.667  0.333  0.500
W  0.000  0.000  0.352
W  0.000  0.000  0.648
W  0.667  0.333  0.186
W  0.667  0.333  0.814
C  0.333  0.667  0.265
C  0.333  0.667  0.735



Calculated powder XRD pattern of Zr2As3W4C3 for Cu Kα (λ = 1.5418 Å), from the GGA-PBE geometry in OQMD.
Neutral-atom scattering factors, no anomalous dispersion.

Principal peaks in the range 10° ≤ 2θ ≤ 90°, in order of rising 2θ:
- d 2.866, 31.2 deg, rel. 40
- d 2.789, 32.1 deg, rel. 13
- d 2.344, 38.4 deg, rel. 100
- d 2.335, 38.6 deg, rel. 49
- d 2.029, 44.7 deg, rel. 19
- d 1.658, 55.4 deg, rel. 11
- d 1.655, 55.5 deg, rel. 24
- d 1.653, 55.6 deg, rel. 18
- d 1.352, 69.5 deg, rel. 17
- d 1.285, 73.8 deg, rel. 12

Structure:
Cell: 5.728 5.728 12.600 Å, 102.87 102.87 60.11°
Fractional positions:
Zr  0.036  0.870  0.607
Zr  0.130  0.964  0.893
Zr  0.870  0.036  0.107
Zr  0.964  0.130  0.393
As  0.083  0.281  0.749
As  0.281  0.083  0.249
As  0.447  0.553  0.750
As  0.553  0.447  0.250
As  0.719  0.917  0.751
As  0.917  0.719  0.251
W  0.196  0.357  0.084
W  0.303  0.477  0.415
W  0.357  0.196  0.584
W  0.477  0.303  0.915
W  0.523  0.697  0.085
W  0.643  0.804  0.416
W  0.697  0.523  0.585
W  0.804  0.643  0.916
C  0.000  0.500  0.500
C  0.168  0.662  0.000
C  0.338  0.832  0.500
C  0.500  0.000  0.000
C  0.662  0.168  0.500
C  0.832  0.338  0.000



Calculated powder XRD pattern of Cd3As2 for Cu Kα (λ = 1.5418 Å), from the GGA-PBE geometry in OQMD.
Neutral-atom scattering factors, no anomalous dispersion.

Principal peaks in the range 10° ≤ 2θ ≤ 90°, in order of rising 2θ:
********
[docs] class EmbeddedGraph(nx.Graph): """ A class to represent a graph with 2D embedded coordinates for each vertex. Attributes graph : nx.Graph a NetworkX graph object coordinates : dict a dictionary mapping vertices to their (x, y) coordinates """
[docs] def __init__(self): """ Initializes an empty EmbeddedGraph object. """ super().__init__() self.coordinates = {}
[docs] def add_node(self, vertex, x, y): """ Adds a vertex to the graph and assigns it the given coordinates. Parameters: vertex (str): The vertex to be added. x (float): The x-coordinate of the vertex. y (float): The y-coordinate of the vertex. """ super().add_node(vertex) self.coordinates[vertex] = (x, y)
[docs] def add_nodes_from(self, nodes, coordinates): """ Adds multiple vertices to the graph and assigns them the given coordinates. Parameters: nodes (list): A list of vertices to be added. coordinates (dict): A dictionary mapping vertices to their coordinates. """ super().add_nodes_from(nodes) self.coordinates.update(coordinates)
[docs] def add_edge(self, u, v): """ Adds an edge between the vertices u and v if they exist. Parameters: u (str): The first vertex of the edge. v (str): The second vertex of the edge. """ if not self.has_node(u) or not self.has_node(v): raise ValueError("One or both vertices do not exist in the graph.") else: super().add_edge(u, v)
[docs] def get_coordinates(self, vertex): """ Returns the coordinates of the given vertex. Parameters: vertex (str): The vertex whose coordinates are to be returned. Returns: tuple: The coordinates of the vertex. """ return self.coordinates.get(vertex)
[docs] def set_coordinates(self, vertex, x, y): """ Sets the coordinates of the given vertex. Parameters: vertex (str): The vertex whose coordinates are to be set. x (float): The new x-coordinate of the vertex. y (float): The new y-coordinate of the vertex. Raises: ValueError: If the vertex does not exist in the graph. """ if vertex in self.coordinates: self.coordinates[vertex] = (x, y) else: raise ValueError("Vertex does not exist in the graph.")
[docs] def get_bounding_box(self): """ Method to find a bounding box of the vertex coordinates in the graph. Returns: list: A list of tuples representing the minimum and maximum x and y coordinates. """ if not self.coordinates: return None x_coords, y_coords = zip(*self.coordinates.values()) return [(min(x_coords), max(x_coords)), (min(y_coords), max(y_coords))]
[docs] def get_bounding_radius(self): """ Method to find the radius of the bounding circle of the vertex coordinates in the graph. Returns: float: The radius of the bounding circle. """ if not self.coordinates: return 0 x_coords, y_coords = zip(*self.coordinates.values()) norms = [np.linalg.norm(point) for point in zip(x_coords, y_coords)] return max(norms)
[docs] def get_mean_centered_coordinates(self): """ Method to find the mean-centered coordinates of the vertices in the graph. Returns: dict: A dictionary mapping vertices to their mean-centered coordinates. """ if not self.coordinates: return None x_coords, y_coords = zip(*self.coordinates.values()) mean_x, mean_y = np.mean(x_coords), np.mean(y_coords) return {v: (x - mean_x, y - mean_y) for v, (x, y) in self.coordinates.items()}
[docs] def set_mean_centered_coordinates(self): """ Method to set the mean-centered coordinates of the vertices in the graph. Warning: This overwrites the original coordinates """ self.coordinates = self.get_mean_centered_coordinates()
[docs] def g_omega(self, theta): """ Function to compute the function :math:`g_\omega(v)` for all vertices :math:`v` in the graph in the direction of :math:`\\theta \in [0,2\pi]` . This function is defined by :math:`g_\omega(v) = \langle \\texttt{pos}(v), \omega \\rangle` . Parameters: theta (float): The angle in :math:`[0,2\pi]` for the direction to compute the :math:`g(v)` values. Returns: dict: A dictionary mapping vertices to their :math:`g(v)` values. """ omega = (np.cos(theta), np.sin(theta)) g = {} for v in self.nodes: g[v] =[v], omega) return g
[docs] def g_omega_edges(self, theta): """ Calculates the function value of the edges of the graph by making the value equal to the max vertex value Parameters: theta (float): The direction of the function to be calculated. Returns: dict A dictionary of the function values of the edges. """ g = self.g_omega(theta) g_edges = {} for e in self.edges: g_edges[e] = max(g[e[0]], g[e[1]]) return g_edges
[docs] def sort_vertices(self, theta, return_g=False): """ Function to sort the vertices of the graph according to the function g_omega(v) in the direction of theta \in [0,2*np.pi]. Parameters: theta (float): The angle in [0,2*np.pi] for the direction to sort the vertices. return_g (bool): Whether to return the g(v) values along with the sorted vertices. Returns: list A list of vertices sorted in increasing order of the :math:`g(v)` values. If ``return_g`` is True, also returns the ``g`` dictionary with the function values ``g[vertex_name]=func_value``. """ g = self.g_omega(theta) v_list = sorted(self.nodes, key=lambda v: g[v]) if return_g: # g_sorted = [g[v] for v in v_list] return v_list, g else: return v_list
[docs] def sort_edges(self, theta, return_g=False): """ Function to sort the edges of the graph according to the function .. math :: g_\omega(e) = \max \{ g_\omega(v) \mid v \in e \} in the direction of :math:`\\theta \in [0,2\pi]` . Parameters: theta (float): The angle in :math:`[0,2\pi]` for the direction to sort the edges. return_g (bool): Whether to return the :math:`g(v)` values along with the sorted edges. Returns: A list of edges sorted in increasing order of the :math:`g(v)` values. If ``return_g`` is True, also returns the ``g`` dictionary with the function values ``g[vertex_name]=func_value``. """ g_e = self.g_omega_edges(theta) e_list = sorted(self.edges, key=lambda e: g_e[e]) if return_g: # g_sorted = [g[v] for v in v_list] return e_list, g_e else: return e_list
[docs] def lower_edges(self, v, omega): """ Function to compute the number of lower edges of a vertex v for a specific direction (included by the use of sorted v_list). Parameters: v (str): The vertex to compute the number of lower edges for. omega (tuple): The direction vector to consider given as an angle in [0, 2pi]. Returns: int: The number of lower edges of the vertex v. """ L = [n for n in self.neighbors(v)] gv =[v], omega) Lg = [[v], omega) for v in L] return sum(n >= gv for n in Lg) # includes possible duplicate counts
[docs] def plot(self, bounding_circle=False, color_nodes_theta=None, ax=None, **kwargs): """ Function to plot the graph with the embedded coordinates. If ``bounding_circle`` is True, a bounding circle is drawn around the graph. If ``color_nodes_theta`` is not None, it should be given as a theta in :math:`[0,2\pi]`. Then the nodes are colored according to the :math:`g(v)` values in the direction of theta. """ if ax is None: fig, ax = plt.subplots() # print("making new figure") else: fig = ax.get_figure() pos = self.coordinates if color_nodes_theta == None: nx.draw(self, pos, with_labels=True, ax=ax, **kwargs) else: g = self.g_omega(color_nodes_theta) color_map = [g[v] for v in self.nodes] # Some weird plotting to make the colorbar work. pathcollection = nx.draw_networkx_nodes( self, pos, node_color=color_map, ax=ax) nx.draw_networkx_labels(self, pos=pos, font_color='black', ax=ax) nx.draw_networkx_edges(self, pos, ax=ax, width=1, **kwargs) fig.colorbar(pathcollection, ax=ax, **kwargs) plt.axis('on') ax.tick_params(left=True, bottom=True, labelleft=True, labelbottom=True) if bounding_circle: r = self.get_bounding_radius() ax = plt.gca() circle1 = plt.Circle((0, 0), r, fill=False, linestyle='--', color='r') ax.add_patch(circle1) plt.axis('square') return ax
[docs] def reeb_graph_from_direction(self, theta): """ Function to create a ReebGraph from a given direction theta. Parameters: theta (float): The direction in [0, 2pi] to calculate the ReebGraph. Returns: ReebGraph: The ReebGraph object created from the EmbeddedGraph. """ sorted_verts, g_verts= self.sort_vertices(theta, return_g = True) g_vert_list = np.array([g_verts[v] for v in sorted_verts]) # Get the locations of a new function value since those will collapse down to a single vertex in the Reeb graph new_val_locs = np.where(1-np.isclose(g_vert_list[:-1] , g_vert_list[1:]))[0] +1 new_val_locs = np.concatenate([[0,], new_val_locs]) # This dictionary will be find_comp[vertex_name] = new_vertex_name find_comp = {} vert_list = [] f_dict_new = {} for val_i,i in enumerate(new_val_locs): if val_i == len(new_val_locs)-1: verts = sorted_verts[i:] else: verts = sorted_verts[i:new_val_locs[val_i+1]] L = list(nx.connected_components(nx.induced_subgraph(self,verts))) for cc_list in L: new_vert = '-'.join(cc_list) vert_list.append(new_vert) for v in cc_list: find_comp[v] = new_vert f_dict_new[new_vert] = g_vert_list[i] R = ReebGraph() R.add_nodes_from(vert_list,f_dict_new) for e in self.edges: if find_comp[e[0]] != find_comp[e[1]]: R.add_edge(find_comp[e[0]],find_comp[e[1]]) return R
if __name__ == "__main__": # Example usage of the EmbeddedGraph class # Create an instance of the EmbeddedGraph class graph = EmbeddedGraph() # Add vertices with their coordinates graph.add_node('A', 1, 2) graph.add_node('B', 3, 4) graph.add_node('C', 5, 6) # Add edges between vertices graph.add_edge('A', 'B') graph.add_edge('B', 'C') # Get coordinates of a vertex coords = graph.get_coordinates('A') print(f'Coordinates of A: {coords}') # Set new coordinates for a vertex graph.set_coordinates('A', 7, 8) coords = graph.get_coordinates('A') print(f'New coordinates of A: {coords}') # Get the bounding box of the vertex coordinates bbox = graph.get_bounding_box() print(f'Bounding box: {bbox}')